~~~
This record from the Materials Project describes a relaxed Rb2S crystal. The functional is PBE.

Properties
space group = Fm-3m (225)
formation energy from the elements = -3.5 eV/f.u.

The structure in CIF format:
```
data_Rb2S
_cell_length_a 5.543
_cell_length_b 5.543
_cell_length_c 5.543
_cell_angle_alpha 60.00
_cell_angle_beta 60.00
_cell_angle_gamma 60.00
_symmetry_space_group_name_H-M 'P 1'
_symmetry_Int_Tables_number 1
_symmetry_space_group_name_Hall 'P 1'
loop_
_atom_site_label
_atom_site_type_symbol
_atom_site_fract_x
_atom_site_fract_y
_atom_site_fract_z
_atom_site_occupancy
Rb1 Rb 0.750 0.750 0.750 1
Rb2 Rb 0.250 0.250 0.250 1
S1 S 0.000 0.000 0.000 1
```

=====

Model 1:
VASP calculation (PBE with a Hubbard U) on crystalline Li4FeO3F at its relaxed geometry.

a = 6.4134 Å, b = 7.2921 Å, c = 8.0404 Å
α = 90.00°, β = 90.00°, γ = 90.00°
Last column: nearest neighbours and their distance in Å.
Atoms (fractional coordinates):
O 0.7497 0.5314 0.2069  1 Fe 1.87, 4 Li 1.92-2.06
O 0.5101 0.2011 0.0000  1 Fe 1.87, 4 Li 1.94-1.96
O 0.7497 0.0314 0.7069  1 Fe 1.87, 4 Li 1.92-2.06
O 0.5101 0.7011 0.5000  1 Fe 1.87, 4 Li 1.94-1.96
O 0.0101 0.2989 0.5000  1 Fe 1.87, 4 Li 1.94-1.96
O 0.7497 0.0314 0.2931  1 Fe 1.87, 4 Li 1.92-2.06
O 0.2497 0.4686 0.2069  1 Fe 1.87, 4 Li 1.92-2.06
O 0.2497 0.9686 0.2931  1 Fe 1.87, 4 Li 1.92-2.06
O 0.0101 0.7989 0.0000  1 Fe 1.87, 4 Li 1.94-1.96
O 0.7497 0.5314 0.7931  1 Fe 1.87, 4 Li 1.92-2.06
O 0.2497 0.9686 0.7069  1 Fe 1.87, 4 Li 1.92-2.06
O 0.2497 0.4686 0.7931  1 Fe 1.87, 4 Li 1.92-2.06
Li 0.2373 0.2325 0.6525  3 O 1.96-2.06, 1 F 2.10
Li 0.9975 0.4934 0.6645  3 O 1.92-1.94, 1 F 2.03
Li 0.7373 0.7675 0.3475  3 O 1.96-2.06, 1 F 2.10
Li 0.9975 0.9934 0.1645  3 O 1.92-1.94, 1 F 2.03
Li 0.4975 0.5066 0.6645  3 O 1.92-1.94, 1 F 2.03
Li 0.4975 0.0066 0.8355  3 O 1.92-1.94, 1 F 2.03
Li 0.2373 0.7325 0.8475  3 O 1.96-2.06, 1 F 2.10
Li 0.9975 0.9934 0.8355  3 O 1.92-1.94, 1 F 2.03
Li 0.4975 0.0066 0.1645  3 O 1.92-1.94, 1 F 2.03
Li 0.2373 0.7325 0.1525  3 O 1.96-2.06, 1 F 2.10
Li 0.7373 0.7675 0.6525  3 O 1.96-2.06, 1 F 2.10
Li 0.7373 0.2675 0.1525  3 O 1.96-2.06, 1 F 2.10
Li 0.2373 0.2325 0.3475  3 O 1.96-2.06, 1 F 2.10
Li 0.9975 0.4934 0.3355  3 O 1.92-1.94, 1 F 2.03
Li 0.4975 0.5066 0.3355  3 O 1.92-1.94, 1 F 2.03
Li 0.7373 0.2675 0.8475  3 O 1.96-2.06, 1 F 2.10
Fe 0.7765 0.6464 0.0000  3 O 1.87
Fe 0.2765 0.3536 0.0000  3 O 1.87
Fe 0.7765 0.1464 0.5000  3 O 1.87
Fe 0.2765 0.8536 0.5000  3 O 1.87
F 0.4941 0.2945 0.5000  4 Li 2.03-2.10, 1 Fe 2.11
F 0.9941 0.2054 0.0000  4 Li 2.03-2.10, 1 Fe 2.11
F 0.9941 0.7055 0.5000  4 Li 2.03-2.10, 1 Fe 2.11
F 0.4941 0.7946 0.0000  4 Li 2.03-2.10, 1 Fe 2.11



Model 2:
VASP calculation (PBE with a Hubbard U) on crystalline Li4FeO3F at its relaxed geometry.

Calculated values
The space group is No. 2.

a = 5.1721 Å, b = 5.2196 Å, c = 8.0724 Å
α = 71.26°, β = 82.90°, γ = 69.88°
Last column: nearest neighbours and their distance in Å.
Atoms (fractional coordinates):
Li 0.2152 0.3294 0.2702  3 O 1.92-1.94, 1 F 2.12
Li 0.2324 0.7621 0.5055  2 O 1.95-2.00, 2 F 2.08-2.11
Li 0.2437 0.5400 0.9460  4 O 1.97-2.12
Li 0.2452 0.9987 0.0788  4 O 2.04-2.21
Li 0.7548 0.0013 0.9212  4 O 2.04-2.21
Li 0.7563 0.4600 0.0540  4 O 1.97-2.12
Li 0.7676 0.2379 0.4945  2 O 1.95-2.00, 2 F 2.08-2.11
Li 0.7848 0.6706 0.7298  3 O 1.92-1.94, 1 F 2.12
Fe 0.2181 0.0971 0.7398  3 O 1.85-1.86, 1 F 2.04
Fe 0.7819 0.9029 0.2602  3 O 1.85-1.86, 1 F 2.04
O 0.0097 0.0688 0.3169  1 Fe 1.85, 3 Li 1.92-2.00
O 0.0172 0.3185 0.8793  1 Fe 1.85, 3 Li 1.92-2.04
O 0.4923 0.8079 0.8860  1 Fe 1.86, 3 Li 1.94-2.04
O 0.5077 0.1921 0.1140  1 Fe 1.86, 3 Li 1.94-2.04
O 0.9828 0.6815 0.1207  1 Fe 1.85, 3 Li 1.92-2.04
O 0.9903 0.9312 0.6831  1 Fe 1.85, 3 Li 1.92-2.00
F 0.3427 0.3324 0.5088  1 Fe 2.04, 3 Li 2.08-2.12
F 0.6573 0.6676 0.4912  1 Fe 2.04, 3 Li 2.08-2.12



Winner for stability: model 1



Model 1:
VASP calculation (PBE with a Hubbard U) on crystalline Li7FeO4F2 at its relaxed geometry.

Calculated values
~~~

What is needed: duplicate the notes earlier on unchanged.

This record from the Materials Project describes a relaxed Rb2S crystal. The functional is PBE.

Properties
space group = Fm-3m (225)
formation energy from the elements = -3.5 eV/f.u.

The structure in CIF format:
```
data_Rb2S
_cell_length_a 5.543
_cell_length_b 5.543
_cell_length_c 5.543
_cell_angle_alpha 60.00
_cell_angle_beta 60.00
_cell_angle_gamma 60.00
_symmetry_space_group_name_H-M 'P 1'
_symmetry_Int_Tables_number 1
_symmetry_space_group_name_Hall 'P 1'
loop_
_atom_site_label
_atom_site_type_symbol
_atom_site_fract_x
_atom_site_fract_y
_atom_site_fract_z
_atom_site_occupancy
Rb1 Rb 0.750 0.750 0.750 1
Rb2 Rb 0.250 0.250 0.250 1
S1 S 0.000 0.000 0.000 1
```

=====

Model 1:
VASP calculation (PBE with a Hubbard U) on crystalline Li4FeO3F at its relaxed geometry.

a = 6.4134 Å, b = 7.2921 Å, c = 8.0404 Å
α = 90.00°, β = 90.00°, γ = 90.00°
Last column: nearest neighbours and their distance in Å.
Atoms (fractional coordinates):
O 0.7497 0.5314 0.2069  1 Fe 1.87, 4 Li 1.92-2.06
O 0.5101 0.2011 0.0000  1 Fe 1.87, 4 Li 1.94-1.96
O 0.7497 0.0314 0.7069  1 Fe 1.87, 4 Li 1.92-2.06
O 0.5101 0.7011 0.5000  1 Fe 1.87, 4 Li 1.94-1.96
O 0.0101 0.2989 0.5000  1 Fe 1.87, 4 Li 1.94-1.96
O 0.7497 0.0314 0.2931  1 Fe 1.87, 4 Li 1.92-2.06
O 0.2497 0.4686 0.2069  1 Fe 1.87, 4 Li 1.92-2.06
O 0.2497 0.9686 0.2931  1 Fe 1.87, 4 Li 1.92-2.06
O 0.0101 0.7989 0.0000  1 Fe 1.87, 4 Li 1.94-1.96
O 0.7497 0.5314 0.7931  1 Fe 1.87, 4 Li 1.92-2.06
O 0.2497 0.9686 0.7069  1 Fe 1.87, 4 Li 1.92-2.06
O 0.2497 0.4686 0.7931  1 Fe 1.87, 4 Li 1.92-2.06
Li 0.2373 0.2325 0.6525  3 O 1.96-2.06, 1 F 2.10
Li 0.9975 0.4934 0.6645  3 O 1.92-1.94, 1 F 2.03
Li 0.7373 0.7675 0.3475  3 O 1.96-2.06, 1 F 2.10
Li 0.9975 0.9934 0.1645  3 O 1.92-1.94, 1 F 2.03
Li 0.4975 0.5066 0.6645  3 O 1.92-1.94, 1 F 2.03
Li 0.4975 0.0066 0.8355  3 O 1.92-1.94, 1 F 2.03
Li 0.2373 0.7325 0.8475  3 O 1.96-2.06, 1 F 2.10
Li 0.9975 0.9934 0.8355  3 O 1.92-1.94, 1 F 2.03
Li 0.4975 0.0066 0.1645  3 O 1.92-1.94, 1 F 2.03
Li 0.2373 0.7325 0.1525  3 O 1.96-2.06, 1 F 2.10
Li 0.7373 0.7675 0.6525  3 O 1.96-2.06, 1 F 2.10
Li 0.7373 0.2675 0.1525  3 O 1.96-2.06, 1 F 2.10
Li 0.2373 0.2325 0.3475  3 O 1.96-2.06, 1 F 2.10
Li 0.9975 0.4934 0.3355  3 O 1.92-1.94, 1 F 2.03
Li 0.4975 0.5066 0.3355  3 O 1.92-1.94, 1 F 2.03
Li 0.7373 0.2675 0.8475  3 O 1.96-2.06, 1 F 2.10
Fe 0.7765 0.6464 0.0000  3 O 1.87
Fe 0.2765 0.3536 0.0000  3 O 1.87
Fe 0.7765 0.1464 0.5000  3 O 1.87
Fe 0.2765 0.8536 0.5000  3 O 1.87
F 0.4941 0.2945 0.5000  4 Li 2.03-2.10, 1 Fe 2.11
F 0.9941 0.2054 0.0000  4 Li 2.03-2.10, 1 Fe 2.11
F 0.9941 0.7055 0.5000  4 Li 2.03-2.10, 1 Fe 2.11
F 0.4941 0.7946 0.0000  4 Li 2.03-2.10, 1 Fe 2.11



Model 2:
VASP calculation (PBE with a Hubbard U) on crystalline Li4FeO3F at its relaxed geometry.

Calculated values
The space group is No. 2.

a = 5.1721 Å, b = 5.2196 Å, c = 8.0724 Å
α = 71.26°, β = 82.90°, γ = 69.88°
Last column: nearest neighbours and their distance in Å.
Atoms (fractional coordinates):
Li 0.2152 0.3294 0.2702  3 O 1.92-1.94, 1 F 2.12
Li 0.2324 0.7621 0.5055  2 O 1.95-2.00, 2 F 2.08-2.11
Li 0.2437 0.5400 0.9460  4 O 1.97-2.12
Li 0.2452 0.9987 0.0788  4 O 2.04-2.21
Li 0.7548 0.0013 0.9212  4 O 2.04-2.21
Li 0.7563 0.4600 0.0540  4 O 1.97-2.12
Li 0.7676 0.2379 0.4945  2 O 1.95-2.00, 2 F 2.08-2.11
Li 0.7848 0.6706 0.7298  3 O 1.92-1.94, 1 F 2.12
Fe 0.2181 0.0971 0.7398  3 O 1.85-1.86, 1 F 2.04
Fe 0.7819 0.9029 0.2602  3 O 1.85-1.86, 1 F 2.04
O 0.0097 0.0688 0.3169  1 Fe 1.85, 3 Li 1.92-2.00
O 0.0172 0.3185 0.8793  1 Fe 1.85, 3 Li 1.92-2.04
O 0.4923 0.8079 0.8860  1 Fe 1.86, 3 Li 1.94-2.04
O 0.5077 0.1921 0.1140  1 Fe 1.86, 3 Li 1.94-2.04
O 0.9828 0.6815 0.1207  1 Fe 1.85, 3 Li 1.92-2.04
O 0.9903 0.9312 0.6831  1 Fe 1.85, 3 Li 1.92-2.00
F 0.3427 0.3324 0.5088  1 Fe 2.04, 3 Li 2.08-2.12
F 0.6573 0.6676 0.4912  1 Fe 2.04, 3 Li 2.08-2.12



Winner for stability: model 1



Model 1:
VASP calculation (PBE with a Hubbard U) on crystalline Li7FeO4F2 at its relaxed geometry.

Calculated values